How To Understand A Narcissistic Personality & Why This Will Help You
The myth of Narcissus warns of the perils of excessive self-absorption, but is there more to narcissism than meets our gaze?
I remember two patients – Marty, a meek young man, always on guard for any situation hinting of potential shame and only showing himself when guaranteed of perfect understanding and emotional attunement to his needs and feelings; and Ms. Z, a self-focused artist, who believed she knew more than everyone, inhaling all of the oxygen in the room, and only acknowledging me when I admired the paintings she brought in.
Two such different people on the surface, each suffered from a form of narcissistic disturbance and, like Narcissus, craved an echo. While Ms. Z met the criteria for a Narcissistic Personality Disorder (NPD), Marty did not. Diagnosed as an Avoidant Personality, Marty seemed the antithesis of the selfie-obsessed Ms. Z. However, both suffered from an unstable sense of themselves, which required a great deal of admiration or unfailing attunement to their needs and feelings.
In the face of setbacks, failures, or ruptures in empathy, both individuals were prone to depressive reactions. Viewing two such opposite individuals as suffering from different kinds of narcissistic disturbances invites us to look beneath the surface to try to understand them more deeply.
Narcissism and Spectrum of Narcissistic Disturbances
Narcissism is understood as taking the self as an object of love which, when extreme, blinds one to the needs and thoughts of others and interferes with investment in their lives. Unfortunately, the nar-word has become a pejorative term, which ignores the role of narcissism in normal development, as well as healthy or adaptive forms of narcissism.
Healthy narcissism involves investing in the self but not at the expense of investing in others.
When the balance between self-love and focus obscures love for and focusing on others, we find the development of narcissistic disturbances.
Gabbard (1989, 2016) drew attention to a broader spectrum of patients with narcissistic issues. He criticized conventional diagnostic classification of Narcissistic Personality Disorder as being restrictive and emphasizing the more florid characteristics including:
- arrogance,
- attention-seeking,
- lack of empathy,
- and interpersonal exploitation.
This is the face of pathological narcissism trumpeted nightly on our TVs. Ms. Z was emblematic of this more familiar type of narcissistic personality.
However, Gabbard wrote about another group of individuals who manifest their narcissistic issues in strikingly different ways. Unlike the first group, which he called “oblivious” narcissists (O-N), because they are unaware of the reactions of others, he identified a second group, which was characterized by extreme hypersensitivity to how others react to them. He called this group “hypervigilant” narcissists (H-N), who scanned the environment for anticipated signs of disapproval, criticism, or lack of attunement.
Whereas the oblivious narcissist needs to be the center of attention, the hypervigilant individual seeks to avoid being noticed, but may simultaneously feel slighted if ignored or misunderstood.
What Links the Oblivious and Hypervigilant Narcissist?
O-N needs admiration, praise, and recognition from others to bolster her self-esteem, while the H-N craves perfect attunement from the other and is easily bruised at inevitable ruptures. Both are vulnerable to plummeting into depression when encountering disappointment or slights. The O-N is mother’s greatest success but is susceptible to feeling like mother’s greatest failure. The H-N is easily hurt and prone to feeling great shame, humiliation, and despair.
What unifies both types is an impoverished sense of self. Though it is harder to see through the blustery air of superiority of the O-N, and all-too-obvious in the H-N, both suffer from extreme narcissistic vulnerability. The O-N craves attention and adulation because, beneath the thick crust of bravado, they are incapable of generating and sustaining their self-esteem. They are dependent on an admiring Echo. The narcissistic vulnerability of the H-N is less encrusted and more palpably felt by others.
As therapists, we might feel bored by the O-N who ignores our existence, except as an admiring audience. It is as if we exist in the O-N’s mind only as a mirror, reflecting back their brilliance or accomplishments. Should we depart from the role of the audience or mirror, the O-N may feel angry and become dismissive.
On the other hand, when sitting with the H-N, every move or comment we make during a session is scrutinized. When they catch us glancing at the clock, they feel dismissed. “Oh, I see, you’re wanting to get rid of me.” Misremembering a detail from a previous session makes them feel emotionally injured and angry, reinforcing their belief that, just as they suspected, they are not important to us after all. If the O-N makes us feel insignificant, the H-N evokes an uncomfortable sense of being held captive or controlled.
In describing the narcissistic vulnerability and impoverished selves of both types of people, we shouldn’t ignore the third type of narcissistic vulnerability found in Echo. Echo is the yin to Narcissus’ yang, the perfect pairing.
In the Ovid version of the myth, Echo not only falls in love with Narcissus but does not feel she can live without him. She follows him; and when he asks, “Who’s there,” she has no words of her own, only his. “Who’s there,” she answers. Because Narcissus has no interest in Echo, and she no sense of self, she withers away and only her voice remains. It is the voice of adulation, not the person with the voice, that matters to Narcissus.
Narcissistic Use of the Other
Calculated crystals from another source follow.
'''
1.
# LiMn2P3O12 PBE+U optimized geometry
data_LiMn2P3O12
_cell_length_a 8.474
_cell_length_b 8.250
_cell_length_c 11.753
_cell_angle_alpha 89.71
_cell_angle_beta 90.00
_cell_angle_gamma 90.00
_space_group_name_H-M_alt 'P 1'
_space_group_IT_number 1
_space_group_name_Hall 'P 1'
loop_
_atom_site_label
_atom_site_type_symbol
_atom_site_fract_x
_atom_site_fract_y
_atom_site_fract_z
Li1 Li 0.099 0.929 0.302
Li2 Li 0.599 0.571 0.198
Li3 Li 0.401 0.429 0.802
Li4 Li 0.901 0.071 0.698
Mn1 Mn 0.530 0.756 0.392
Mn2 Mn 0.030 0.744 0.108
Mn3 Mn 0.471 0.756 0.883
Mn4 Mn 0.971 0.744 0.617
Mn5 Mn 0.029 0.256 0.383
Mn6 Mn 0.529 0.244 0.117
Mn7 Mn 0.970 0.256 0.892
Mn8 Mn 0.470 0.244 0.608
P1 P 0.749 0.036 0.490
P2 P 0.613 0.110 0.854
P3 P 0.885 0.111 0.143
P4 P 0.113 0.390 0.646
P5 P 0.385 0.389 0.357
P6 P 0.249 0.464 0.010
P7 P 0.751 0.536 0.990
P8 P 0.615 0.611 0.643
P9 P 0.251 0.964 0.510
P10 P 0.387 0.890 0.146
P11 P 0.887 0.610 0.354
P12 P 0.115 0.889 0.857
O1 O 0.559 0.729 0.548
O2 O 0.327 0.065 0.605
O3 O 0.109 0.068 0.892
O4 O 0.424 0.066 0.180
O5 O 0.636 0.099 0.585
O6 O 0.718 0.161 0.181
O7 O 0.571 0.143 0.978
O8 O 0.998 0.130 0.247
O9 O 0.873 0.941 0.562
O10 O 0.673 0.935 0.395
O11 O 0.891 0.932 0.108
O12 O 0.576 0.934 0.820
O13 O 0.364 0.901 0.415
O14 O 0.205 0.873 0.162
O15 O 0.429 0.857 0.022
O16 O 0.002 0.870 0.753
O17 O 0.282 0.839 0.819
O18 O 0.170 0.815 0.563
O19 O 0.483 0.773 0.224
O20 O 0.059 0.771 0.952
O21 O 0.983 0.727 0.276
O22 O 0.127 0.059 0.438
O23 O 0.670 0.685 0.937
O24 O 0.782 0.661 0.681
O25 O 0.929 0.643 0.478
O26 O 0.705 0.627 0.338
O27 O 0.502 0.630 0.747
O28 O 0.864 0.599 0.085
O29 O 0.391 0.568 0.392
O30 O 0.173 0.565 0.105
O31 O 0.076 0.566 0.680
O32 O 0.373 0.559 0.938
O33 O 0.627 0.441 0.062
O34 O 0.924 0.434 0.320
O35 O 0.827 0.435 0.895
O36 O 0.609 0.432 0.608
O37 O 0.136 0.401 0.915
O38 O 0.498 0.370 0.253
O39 O 0.295 0.373 0.662
O40 O 0.071 0.357 0.522
O41 O 0.218 0.339 0.319
O42 O 0.330 0.315 0.063
O43 O 0.441 0.271 0.452
O44 O 0.017 0.273 0.724
O45 O 0.941 0.229 0.048
O46 O 0.517 0.227 0.776
O47 O 0.830 0.185 0.437
O48 O 0.795 0.127 0.838
# E above lowest polymorph (eV/atom): 0.008
# Energy of formation (eV/atom): -2.37
# Energy (eV/atom): -7.05
# SG: No. 14

***

2.
# LiMnPO4 PBE+U optimized geometry
data_LiMnPO4
_cell_length_a 4.629
_cell_length_b 5.309
_cell_length_c 7.611
_cell_angle_alpha 90.21
_cell_angle_beta 104.20
_cell_angle_gamma 104.40
_space_group_name_H-M_alt 'P 1'
_space_group_IT_number 1
_space_group_name_Hall 'P 1'
loop_
_atom_site_label
_atom_site_type_symbol
_atom_site_fract_x
_atom_site_fract_y
_atom_site_fract_z
Li1 Li 0.726 0.717 0.987
Li2 Li 0.274 0.283 0.013
Mn1 Mn 0.054 0.238 0.394
Mn2 Mn 0.946 0.762 0.606
P1 P 0.647 0.194 0.743
P2 P 0.353 0.806 0.257
O1 O 0.840 0.377 0.629
O2 O 0.687 0.914 0.381
O3 O 0.160 0.623 0.371
O4 O 0.313 0.086 0.619
O5 O 0.205 0.038 0.203
O6 O 0.638 0.343 0.914
O7 O 0.362 0.657 0.086
O8 O 0.795 0.962 0.797
# E above lowest polymorph (eV/atom): 0.051
'''
The O-N, the H-N, and the Echo have difficulty seeing the other as a separate person with her own mind, feelings, and needs. In each case, the narcissistically vulnerable person uses the other to make up for what is lacking inside: an adoring audience, a perfectly attuned partner, or an idol. Failure to see the other and using them to meet one’s own needs touches on Shengold’s concept of “soul murder” (Shengold, 1991) and Fine’s (2017) discussion of “narcissistic abuse.”
Even in an ostensibly loving relationship, there can be a narcissistic use of the other. In my novel The 11th Inkblot, what appeared to be an adoring relationship between father and son is revealed to be a narcissistically-based identification, as father failed to truly see his eldest son whom he tried to make in his own image. When the son finally rejected father’s narcissistic use of him and proclaimed his separate sense of self, the father fell into deep despair.
Beyond excessive self-love, there is more to understand about forms of pathological narcissism. Looking beneath their manifest, off-putting behavior helps humanize the narcissist, even the O-N type. A broader, more nuanced understanding is particularly important for those involved with and those who choose to treat individuals with narcissistic issues.
By thinking in terms of underlying narcissistic vulnerability and narcissistic misuse of the other, we can understand the human struggles of Narcissus and Echo, and above all, reach out to those who have been harmed by abusive, self-erasing, narcissistic relationships. The ultimate goal is to help transform destructive forms of narcissism into the flower of self-acceptance, authenticity, and, most critically, compassion and empathy for the needs and feelings of others.
Looking beneath the surface, beyond the self-love, thirst for attention, or exquisite sensitivity to humiliation and shame, helps us understand the struggles of these individuals and how they can use and abuse others who become caught in their web.
My patients Marty and Ms. Z were heavily disguised composites of many people I’ve had the privilege to see in therapy over the last 40 years. Individuals suffering narcissistic vulnerability and forms of narcissistic disturbances can be helped. Finding a therapist, experienced in working with all types of individuals with deficits in healthy narcissism, can change one’s life.
Connect with J. Herman Kleiger here: Twitter, Facebook, Instagram, and Goodreads.
Purchase his book The 11th Inkblot here